## Given
=====
A:
Below is a relaxed structure of YIn2Ni2, with properties calculated at the PBE-GGA level.

```
10
Lattice="7.898 0.000 0.000 0.000 7.898 0.000 0.000 0.000 2.977" Properties=species:S:1:pos:R:3 pbc="T T T"
Y 0.000 0.000 0.000
Y 3.949 3.949 0.000
In 1.026 2.923 0.000
In 2.923 6.872 0.000
In 4.975 1.026 0.000
In 6.872 4.975 0.000
Ni 1.338 5.287 1.489
Ni 2.611 1.338 1.489
Ni 5.287 6.560 1.489
Ni 6.560 2.611 1.489
```

Results
DOS at the Fermi energy (states/eV/f.u.): 2.830

---

B:
Below is a relaxed structure of YIn2Ni2, with properties calculated at the PBE-GGA level.

```
5
Lattice="-2.133 2.133 5.386 2.133 -2.133 5.386 2.133 2.133 -5.386" Properties=species:S:1:pos:R:3 pbc="T T T"
Y 0.000 0.000 0.000
In 2.133 0.000 2.693
In 0.000 2.133 2.693
Ni 0.000 0.000 4.253
Ni 0.000 0.000 6.518
```

Results
DOS at the Fermi energy (states/eV/f.u.): 3.748

---

Relative energies, in meV per atom, with the most stable structure set to zero: A 183; B 0.

---

A:
Below is a relaxed structure of YIn2Ni2, with properties calculated at the PBE-GGA level.

```
5
Lattice="1.654 -9.089 0.000 1.654 9.089 0.000 0.000 0.000 3.265" Properties=species:S:1:pos:R:3 pbc="T T T"
Y 0.000 0.000 0.000
In 1.654 5.850 0.000
In 1.654 -5.850 0.000
Ni 1.654 1.746 1.632
Ni 1.654 -1.746 1.632
```

Results
DOS at the Fermi energy (states/eV/f.u.): 2.940

---

B:
Below is a relaxed structure of YIn2Ni2, with properties calculated at the PBE-GGA level.

```
5
Lattice="-2.252 2.252 5.008 2.252 -2.252 5.008 2.252 2.252 -5.008" Properties=species:S:1:pos:R:3 pbc="T T T"
Y 0.000 0.000 0.000
In 0.000 0.000 3.617
In 0.000 0.000 6.398
Ni 2.252 0.000 2.504
Ni 0.000 2.252 2.504
```

Results
DOS at the Fermi energy (states/eV/f.u.): 3.871

---

C:
Below is a relaxed structure of YIn2Ni2, with properties calculated at the PBE-GGA level.

```
10
Lattice="-2.217 2.217 10.124 2.217 -2.217 10.124 2.217 2.217 -10.124" Properties=species:S:1:pos:R:3 pbc="T T T"
Y 0.000 0.000 2.745
Y 0.000 0.000 17.502
In 2.217 0.000 0.000
In 0.000 0.000 6.327
In 0.000 2.217 0.000
In 0.000 0.000 13.920
Ni 2.217 0.000 5.062
Ni 0.000 0.000 8.801
Ni 0.000 0.000 11.446
Ni 0.000 2.217 5.062
```

Results
DOS at the Fermi energy (states/eV/f.u.): 4.020

---

D:
Below is a relaxed structure of YIn2Ni2, with properties calculated at the PBE-GGA level.

```
10
Lattice="7.613 0.000 0.000 0.000 7.613 0.000 0.000 0.000 3.193" Properties=species:S:1:pos:R:3 pbc="T T T"
Y 0.000 0.000 0.000
Y 3.806 3.806 0.000
In 1.206 2.600 1.597
In 2.600 6.406 1.597
In 5.013 1.206 1.597
In 6.406 5.013 1.597
Ni 1.008 4.814 0.000
Ni 2.799 1.008 0.000
Ni 4.814 6.605 0.000
Ni 6.605 2.799 0.000
```

Results
DOS at the Fermi energy (states/eV/f.u.): 4.781

---

Relative energies, in meV per atom, with the most stable structure set to zero: A 118; B 92; C 0; D 76.

---

A:
Below is a relaxed structure of Y2In2Ni, with properties calculated at the PBE-GGA level.

```
5
Lattice="2.325 -7.155 0.000 2.325 7.155 0.000 0.000 0.000 3.552" Properties=species:S:1:pos:R:3 pbc="T T T"
Y 2.325 5.604 0.000
Y 2.325 -5.604 0.000
In 2.325 2.685 1.776
In 2.325 -2.685 1.776
Ni 2.325 0.000 1.776
```

Results
DOS at the Fermi energy (states/eV/f.u.): 5.262

---

B:
Below is a relaxed structure of Y2In2Ni, with properties calculated at the PBE-GGA level.

```
5
Lattice="-1.955 1.955 8.679 1.955 -1.955 8.679 1.955 1.955 -8.679" Properties=species:S:1:pos:R:3 pbc="T T T"
Y 0.000 0.000 1.575
Y 0.000 0.000 15.782
In 1.955 0.000 4.339
In 0.000 1.955 4.339
Ni 0.000 0.000 8.679
```

Results
DOS at the Fermi energy (states/eV/f.u.): 5.127

---

Relative energies, in meV per atom, with the most stable structure set to zero: A 0; B 309.

---

A:
Below is a relaxed structure of Y2In2Ni, with properties calculated at the PBE-GGA level.

```
10
Lattice="7.162 0.000 0.000 0.000 7.162 0.000 0.000 0.000 4.721" Properties=species:S:1:pos:R:3 pbc="T T T"
Y 1.194 2.388 0.000
Y 2.388 5.969 0.000
Y 4.775 1.194 0.000
Y 5.969 4.775 0.000
In 1.036 4.617 2.360
In 2.545 1.036 2.360
=====

## Request
Copy only the lines further up with the word "energies" in them.

## Completed
Relative energies, in meV per atom, with the most stable structure set to zero: A 183; B 0.
Relative energies, in meV per atom, with the most stable structure set to zero: A 118; B 92; C 0; D 76.
Relative energies, in meV per atom, with the most stable structure set to zero: A 0; B 309.